### Work order
Say how many lines of the rows underneath hold the word "O7", as a bare number.
### Source
~~~
(1)
# NdSmP2O8

A relaxed structure of NdSmP2O8 (PBE, Alexandria).

```
data_NdSmP2O8
_chemical_formula_sum 'Nd1 Sm1 P2 O8'
_symmetry_space_group_name_H-M 'P 1'
_symmetry_Int_Tables_number 1
_cell_length_a 5.306
_cell_length_b 5.306
_cell_length_c 7.277
_cell_angle_alpha 90.00
_cell_angle_beta 90.00
_cell_angle_gamma 120.00
loop_
_symmetry_equiv_pos_as_xyz
'x,y,z'
loop_
_atom_site_label
_atom_site_type_symbol
_atom_site_fract_x
_atom_site_fract_y
_atom_site_fract_z
Nd1 Nd 0.000 0.000 0.000
Sm1 Sm 0.000 0.000 0.500
P1 P 0.333 0.667 0.802
P2 P 0.667 0.333 0.198
O1 O 0.174 0.349 0.728
O2 O 0.174 0.826 0.728
O3 O 0.333 0.667 0.012
O4 O 0.349 0.174 0.272
O5 O 0.651 0.826 0.728
O6 O 0.667 0.333 0.988
O7 O 0.826 0.174 0.272
O8 O 0.826 0.651 0.272
```

Summary:
Symmetry: P-3m1, No. 164
E in eV for the cell shown: -94.38
Size of the total moment in μB/f.u.: 0.0


(2)
# YMg3Mn

A relaxed structure of YMg3Mn (PBE, Alexandria).

```
data_YMg3Mn
_chemical_formula_sum 'Y1 Mg3 Mn1'
_symmetry_space_group_name_H-M 'P 1'
_symmetry_Int_Tables_number 1
_cell_length_a 4.984
_cell_length_b 4.984
_cell_length_c 4.984
_cell_angle_alpha 90.00
_cell_angle_beta 90.00
_cell_angle_gamma 90.00
loop_
_symmetry_equiv_pos_as_xyz
'x,y,z'
loop_
_atom_site_label
_atom_site_type_symbol
_atom_site_fract_x
_atom_site_fract_y
_atom_site_fract_z
Y1 Y 0.000 0.000 0.000
Mg1 Mg 0.000 0.500 0.500
Mg2 Mg 0.500 0.000 0.500
Mg3 Mg 0.500 0.500 0.000
Mn1 Mn 0.500 0.500 0.500
```

Summary:
Symmetry: Pm-3m, No. 221
E in eV for the cell shown: -18.38
Size of the total moment in μB/f.u.: 2.8
ΔE to the lowest computed polymorph in meV per atom: 0
ΔE_f in eV per atom: 0.4076
~~~
### Response
1